== Source ==
┌──
Density functional theory data (ωB97M-V/def2-TZVPD) for a structure of composition C19H30N6O6S2SiW.

Properties
**Lowest unoccupied orbital energy (spin up / spin down)**: -0.973 / -1.670 eV
**2S+1**: 3
**Energy relative to the best compared isomer or geometry (same formula, charge and spin)**: 0.00 kcal per mole
**HOMO-LUMO gap (spin up / spin down)**: 6.428 / 6.518 eV
**⟨S²⟩**: 2.02
**Total charge**: 0
**E_tot**: -2674.91198 Eh

Last column: Mulliken spin population.
Positions of all 65 atoms, in Å:
W  0.293  0.034  0.123  0.229
O  -0.664  -0.240  1.709  0.120
N  -0.511  2.069  0.875  -0.006
C  -1.717  2.618  1.024  0.009
C  -1.866  3.884  1.550  -0.003
C  -0.726  4.583  1.939  0.004
C  0.518  3.997  1.821  -0.001
C  0.584  2.711  1.292  0.001
S  1.962  1.690  1.079  0.015
H  -2.566  2.019  0.727  -0.002
H  -2.852  4.310  1.659  0.000
H  -0.815  5.582  2.348  0.000
H  1.422  4.499  2.134  -0.001
C  -3.574  -0.891  -0.253  0.044
C  -2.971  0.208  -1.072  0.001
C  -3.754  0.978  -1.914  0.000
C  -3.158  1.994  -2.658  0.002
C  -1.801  2.215  -2.589  -0.001
C  -1.048  1.386  -1.749  0.008
N  -1.655  0.441  -0.988  0.001
N  0.278  1.370  -1.500  0.013
Si  1.476  2.123  -2.574  -0.005
C  3.252  1.668  -2.278  0.001
C  1.333  3.977  -2.321  0.002
C  1.042  1.630  -4.324  0.001
H  -4.389  -1.357  -0.807  0.000
H  -3.984  -0.488  0.675  -0.002
H  -2.829  -1.652  -0.027  -0.013
H  -4.812  0.774  -1.993  0.000
H  -3.767  2.613  -3.305  0.000
H  -1.326  2.998  -3.158  0.001
H  3.546  1.778  -1.236  -0.001
H  3.859  2.356  -2.875  0.000
H  3.471  0.648  -2.593  0.000
H  1.576  4.213  -1.281  0.000
H  0.339  4.379  -2.527  0.000
H  2.047  4.507  -2.956  0.000
H  1.008  0.540  -4.399  0.000
H  1.825  1.984  -5.000  0.000
H  0.090  2.026  -4.680  0.000
N  1.586  -1.223  1.380  -0.004
N  2.695  -1.718  0.649  0.006
C  2.673  -1.473  -0.703  -0.017
O  3.364  -2.043  -1.510  0.004
O  1.828  -0.484  -1.009  0.017
H  1.951  -0.646  2.129  0.001
H  0.536  -2.389  1.489  -0.010
H  2.985  -2.651  0.897  0.001
O  -2.953  -0.022  2.959  0.128
S  -1.999  -1.088  2.654  0.297
C  -2.923  -2.706  2.825  0.168
C  -2.224  -3.443  3.960  -0.008
C  -1.693  -2.384  4.929  0.010
C  -0.941  -1.380  4.070  0.016
H  -2.887  -3.212  1.864  0.004
H  -3.939  -2.393  3.067  0.008
H  -1.394  -4.020  3.554  0.004
H  -2.918  -4.130  4.447  0.009
H  -1.034  -2.816  5.682  0.002
H  -2.519  -1.891  5.447  0.001
H  -0.009  -1.784  3.678  -0.002
H  -0.768  -0.404  4.519  -0.004
O  -0.261  -3.049  1.398  0.147
N  -0.898  -2.748  0.235  0.752
O  -0.172  -1.834  -0.447  0.050

***

Density functional theory data (ωB97M-V/def2-TZVPD) for a structure of composition C19H31BLiN6.

Properties
**Lowest unoccupied orbital energy**: 3.019 eV
**2S+1**: 1
**HOMO-LUMO gap**: 6.123 eV
**Total charge**: -1
**E_tot**: -1103.67161 Eh

Last column: Mulliken charge in e.
Positions of all 58 atoms, in Å:
Li  0.547  -0.039  -0.128  0.745
C  1.984  1.884  2.526  -1.313
C  2.313  0.578  3.238  0.707
C  3.707  0.094  2.840  -1.157
C  1.276  -0.478  2.971  -0.057
C  1.048  -1.673  3.674  -1.312
C  -0.019  -2.248  3.021  -0.223
N  -0.384  -1.445  2.013  0.485
N  0.407  -0.350  1.979  -0.235
B  -1.553  -1.648  1.010  -0.230
N  -2.239  -0.302  0.740  -0.089
C  -3.515  0.051  0.963  -0.319
C  -3.678  1.363  0.581  -1.440
C  -2.403  1.750  0.122  0.058
N  -1.557  0.739  0.217  0.543
C  -1.956  3.096  -0.383  0.762
C  -2.035  4.134  0.738  -1.359
C  -0.553  3.052  -0.975  -1.023
N  -1.018  -2.248  -0.318  0.524
C  -0.955  -3.539  -0.674  -0.388
C  -0.398  -3.619  -1.931  -1.309
C  -0.153  -2.280  -2.284  -0.081
N  -0.519  -1.469  -1.303  -0.253
C  0.389  -1.743  -3.581  1.162
C  0.351  -0.222  -3.635  -1.378
C  -0.385  -2.337  -4.762  -1.578
H  2.734  2.643  2.767  0.491
H  1.990  1.729  1.445  0.014
H  1.000  2.257  2.808  0.302
H  2.311  0.753  4.323  0.303
H  3.744  -0.091  1.766  0.112
H  4.458  0.848  3.088  0.391
H  3.967  -0.832  3.355  0.369
H  1.575  -2.047  4.535  0.432
└──
== What to do ==
Could you find the line above that holds "1.668", then restate that line and all lines after it there?
== Result ==
C  3.252  1.668  -2.278  0.001
C  1.333  3.977  -2.321  0.002
C  1.042  1.630  -4.324  0.001
H  -4.389  -1.357  -0.807  0.000
H  -3.984  -0.488  0.675  -0.002
H  -2.829  -1.652  -0.027  -0.013
H  -4.812  0.774  -1.993  0.000
H  -3.767  2.613  -3.305  0.000
H  -1.326  2.998  -3.158  0.001
H  3.546  1.778  -1.236  -0.001
H  3.859  2.356  -2.875  0.000
H  3.471  0.648  -2.593  0.000
H  1.576  4.213  -1.281  0.000
H  0.339  4.379  -2.527  0.000
H  2.047  4.507  -2.956  0.000
H  1.008  0.540  -4.399  0.000
H  1.825  1.984  -5.000  0.000
H  0.090  2.026  -4.680  0.000
N  1.586  -1.223  1.380  -0.004
N  2.695  -1.718  0.649  0.006
C  2.673  -1.473  -0.703  -0.017
O  3.364  -2.043  -1.510  0.004
O  1.828  -0.484  -1.009  0.017
H  1.951  -0.646  2.129  0.001
H  0.536  -2.389  1.489  -0.010
H  2.985  -2.651  0.897  0.001
O  -2.953  -0.022  2.959  0.128
S  -1.999  -1.088  2.654  0.297
C  -2.923  -2.706  2.825  0.168
C  -2.224  -3.443  3.960  -0.008
C  -1.693  -2.384  4.929  0.010
C  -0.941  -1.380  4.070  0.016
H  -2.887  -3.212  1.864  0.004
H  -3.939  -2.393  3.067  0.008
H  -1.394  -4.020  3.554  0.004
H  -2.918  -4.130  4.447  0.009
H  -1.034  -2.816  5.682  0.002
H  -2.519  -1.891  5.447  0.001
H  -0.009  -1.784  3.678  -0.002
H  -0.768  -0.404  4.519  -0.004
O  -0.261  -3.049  1.398  0.147
N  -0.898  -2.748  0.235  0.752
O  -0.172  -1.834  -0.447  0.050

***

Density functional theory data (ωB97M-V/def2-TZVPD) for a structure of composition C19H31BLiN6.

Properties
**Lowest unoccupied orbital energy**: 3.019 eV
**2S+1**: 1
**HOMO-LUMO gap**: 6.123 eV
**Total charge**: -1
**E_tot**: -1103.67161 Eh

Last column: Mulliken charge in e.
Positions of all 58 atoms, in Å:
Li  0.547  -0.039  -0.128  0.745
C  1.984  1.884  2.526  -1.313
C  2.313  0.578  3.238  0.707
C  3.707  0.094  2.840  -1.157
C  1.276  -0.478  2.971  -0.057
C  1.048  -1.673  3.674  -1.312
C  -0.019  -2.248  3.021  -0.223
N  -0.384  -1.445  2.013  0.485
N  0.407  -0.350  1.979  -0.235
B  -1.553  -1.648  1.010  -0.230
N  -2.239  -0.302  0.740  -0.089
C  -3.515  0.051  0.963  -0.319
C  -3.678  1.363  0.581  -1.440
C  -2.403  1.750  0.122  0.058
N  -1.557  0.739  0.217  0.543
C  -1.956  3.096  -0.383  0.762
C  -2.035  4.134  0.738  -1.359
C  -0.553  3.052  -0.975  -1.023
N  -1.018  -2.248  -0.318  0.524
C  -0.955  -3.539  -0.674  -0.388
C  -0.398  -3.619  -1.931  -1.309
C  -0.153  -2.280  -2.284  -0.081
N  -0.519  -1.469  -1.303  -0.253
C  0.389  -1.743  -3.581  1.162
C  0.351  -0.222  -3.635  -1.378
C  -0.385  -2.337  -4.762  -1.578
H  2.734  2.643  2.767  0.491
H  1.990  1.729  1.445  0.014
H  1.000  2.257  2.808  0.302
H  2.311  0.753  4.323  0.303
H  3.744  -0.091  1.766  0.112
H  4.458  0.848  3.088  0.391
H  3.967  -0.832  3.355  0.369
H  1.575  -2.047  4.535  0.432